One of the most important papers for understanding the political climate we live in is “Microaggression and Moral Cultures” by Bradley Campbell and Jason Manning.[ref]The article made a splash–it was covered in The Atlantic, among other places–and we covered Jonathan Haidt’s reaction to it here at Difficult Run back in September of last year. You can download the full paper for free, however, and you should do that.[/ref]
In the article, Campbell and Manning explore three stages in the evolution of moral culture:
- Honor culture
- Dignity culture
- Victimhood culture
The essence of honor culture is reputation. That is because–in a society without a strong, centralized authority–the best defense against predation is a reputation for drastic overreaction. If people believe you will overreact to any provocation, they are less likely to provoke you. Unfortunately, when everybody is trying to build a reputation for toughness and overreaction at the same time, “people are verbally aggressive and quick to insult other.” This causes damage to reputation, and so we have “a high frequency of violent conflict as participants in the culture aggressively compete for respect.”
When strong, formal authorities begin to emerge, the logic of the honor culture dissipates. If someone insults you and you react by physically assaulting them, then–in the presence of a strong authority–you’re going to end up getting punished more harshly than they are. When there is a legitimate criminal justice system to handle major offenses, the best response to a minor offense is to simply ignore it. As a result, reputation is not as important in dignity cultures. In an honor culture, appealing to an outside authority is a sign of weakness. In a dignity culture, failing to appeal to an outside authority is taking the law into your own hands.
The transition from an honor culture to a dignity culture is vitally important, because a dignity culture has a much greater capacity for pluralism. Free speech is more than a legal framework or a constitutional right, it’s also a tradition. In a dignity culture, where having a thick skin is encouraged, that tradition can flourish because minor conflicts and disagreements don’t carry the risk of exploding into open hostility and violence.
Victimhood culture is an outgrowth of dignity culture that combines the worst of honor and dignity cultures. It is “characterized by concern with status and sensitivity to slight combined with a heavy reliance on third parties.” The “sensitivity to slight” comes straight from honor culture, and the “heavy reliance on third parties” comes straight from dignity culture. The basic idea of victimhood culture is to manipulate third parties[ref]These third parties can be formal authorities (like university administrators) or sympathetic crowds (like a a Twitter mob).[/ref] to intervene in a dispute on your side by appearing to be the victim.
The bigger the apparent injustice, the greater the chance of persuading a third party to take your side and the more drastic the action you can convince them to take on your behalf. Victimhood culture, then, is fundamentally about manufacturing and maintaining the highest degree of apparent victimhood. As Campbell and Manning point out, one simple way to achieve this is through the use of outright hoaxes and “hate crime hoaxes are common on college campuses.”[ref]Other tactics include hunger strikes and protest suicides which increase the apparent injustice by increasing the actual damage suffered.[/ref]
The gold standard in victim culture, however, is the microagrresion. Microaggressions are essentially a form of bundling. First, you bundle individual instances of minor offenses into larger patterns. Second, you bundle individual people (victims and perpetrators alike) into larger cohorts. By using this approach, an isolated and incidental comment from one individual to another becomes a symptom of systematic oppression of one entire category of people by another category. These forms of bundling are important, as we will see at the end, because they forge a link between victimhood culture and identity politics.
According to Campbell and Manning, one of the results of the rise of victimhood culture is a “clash between competing moral systems” as dignity culture and victimhood culture come into conflict. This is certainly true. Progressive social justice theories like Critical Race Theory “[reject] the traditions of liberalism and meritocracy,”[ref]What is Critical Race Theory?[/ref] which are the heritage of dignity culture. There is no doubt that victimhood culture–championed by progressive social justice ideology–is incompatible with dignity culture.
This is why so much of the push-back against second-wave political correctness has been bipartisan.[ref]For a sample, see the second section of my article: When Social Justice Isn’t About Justice.[/ref] There are plenty on the left of American politics who still cling to old-fashioned notions of liberalism like freedom of expression, the marketplace of ideas, and the dignity of individuals. Aligned with conservatives who share these concerns, they form a bipartisan coalition that is engaged in the conflict Campbell and Manning predicted: dignity culture attempting to hold off the insurgent victimhood culture.
But there is another conflict going on as well. The most vociferous push-back against progressive social justice ideology (and ostensibly the victimhood culture it embraces) comes from the alt-right. What is notable about this push-back, however, is that instead of genuinely objecting to victimhood culture, the alt-right has embraced a re-branded version of it. The best example of this is the most obvious: Donald Trump’s promise to “make America great again” and his obvious appeal to white grievance.
Just as with the progressive social justice movement, Trump’s appeal works because it has enough truth in it to give it the feel of veracity. One of the best explanation of this comes (believe it or not) from a Cracked article: How Half Of America Lost Its F**king Mind. The article (which includes lots of non-censored swearing) does a fantastic job of outlining the legitimate grievance of white, rural America.
Which leads me to an essential side-note: it is possible for the world to simultaneously get worse for both the minorities that liberals care about (black, Hispanic, women, and LBTQ Americans) and the group that Trump and the alt-right appeal to (rural, white Americans). I recently had simultaneous stories in my Facebook feed about white highschoolers putting a noose around a black student’s neck and another about how Berkeley students barricade bridge, force whites to cross creek. These two stories neither cancel out nor justify each other.
One of the things that contemporary theories of racism as systematized prejudice and discrimination fail to appreciate is that in the United States there is more than one system. The legacies of systemic oppression of racial minorities are absolutely still in place. My review of The New Jim Crow should leave no doubt about where I stand on that. But the existence of systematized anti-black discrimination in the criminal justice system does not obviate, cancel out, or justify the creation of anti-white (usually: anti-poor-rural-conservative-white) discrimination in other systems, like academia in general or social psychology in particular.
So this is where we stand: in the battle of victimhood culture against dignity culture, Trump and the alt-right are not fighting against the so-called social justice warriors. They are–with their grievance-based, identity-centric campaigns–quite literally part of the problem. They are fighting fire-with-fire while the whole world burns down.
Along these lines, David Marcus’s recent Federalist piece (How Anti-White Rhetoric is Fueling White Nationalism) is a must-read. In it, Marcus attacks another prong of the progressive social justice approach to race, writing that a shift to emphasizing privilege amounts to “ask[ing] white people to be more tribal” and is even “abetting white supremacy.” Marcus points out that the number of active Ku Klux Klan chapters more than doubled (from 72 to 190) just between 2014 and 2015, and argues that “one of the key components of this racism is the almost-daily parade of silly micro-aggressions and triggers.” He adds:
Young white men, reacting to social and educational constructs that paint them as the embodiment of historical evil, are fertile ground for white supremacists. They are very aware of the dichotomy between non-white culture, which must be valued at all times (even in the midst of terror attacks), and white culture, which must be criticized and devalued. They don’t like it.
It may seem like a stretch to draw parallels between ill-advised anti-racism efforts and the alt-right (let alone the KKK), but here’s a headline that might give you pause: Cal State LA offers segregated housing for black students. According to the article, the decision came after the Black Student Union cited “microaggressions” as part of their call for “housing space delegated for Black students.”
Journalism student Aeman Ansari recently made a similar case in the Huffington Post, justifying the expulsion of student journalists from an event because those journalists were white and arguing that safe spaces are different because “segregation was imposed on people of colour by people of privilege, not the other way around.” That’s a legitimate difference, but it doesn’t erase this fact that the two groups of people in America who think whites and blacks should not mix are the KKK and progressive social justice activists. The different terminology–safe space vs. segregated space–and the differing power dynamics can’t efface the fact that both of them have the goal of racial separation.
It is a genuine tragedy that–after such great (albeit incomplete) progress towards racial equality in this country–we are now seeing a resurgence of the kind of hardcore, strident racism that has not been prevalent for decades. But this is where we are today.
Victimhood culture, as Campbell and Manning note, originated with the political left because “the narrative of oppression and victimization is especially congenial to a leftist worldview.” However, there is nothing about the tactics of victimhood culture that dictate it must remain exclusively an artifact of the left, and it has not. “Naturally,” Campbell and Manning observe, “whenever victimhood…. confers status, all sorts of people will want to claim it.” White identity politics is a natural and inevitable response to minority identity politics, and it follows basically the same playbook.
So, while victimhood culture was initially created by left-wing activists in college campuses, it has metastasized and spread throughout American society. Because it is such an effective political weapon, it is has proved irresistable to many of the folks who originally set out to destroy it.[ref]In this reading, the alt-right is Boromir, and they have the Ring.[/ref] Based on grievances both real and imaginary, the alt-right has embraced the logic and tactics of victimhood culture. Because victimhood culture is fueled by identity politics and tribalism, the rise in the co-option of victimhood culture by the alt-right necessarily entails a reawakening of old-school racism the likes of which we have not seen openly promulgated for decades, if not more.
=====
Entry 1:
{"formula": "C3H8ClN2", "method": "wB97M-V/def2-TZVPD", "symbols": ["C", "C", "C", "N", "N", "Cl", "H", "H", "H", "H", "H", "H", "H", "H"], "xyz": [[0.839, -1.703, 1.225], [-1.262, 1.134, 0.282], [0.900, 0.301, -0.352], [-0.866, 0.386, -1.829], [-0.394, 0.572, -0.684], [1.928, -0.077, -1.641], [0.956, -0.878, 1.873], [1.615, -2.358, 0.871], [-0.099, -1.815, 0.796], [-1.999, 1.786, -0.179], [-0.763, 1.609, 1.133], [-1.846, 0.343, 0.653], [1.455, 0.965, 0.316], [-0.464, -0.266, -2.464]], "lowdin_charge": [0.243, 0.013, -0.553, 0.235, -0.307, 0.779, 0.017, 0.049, -0.002, 0.124, 0.123, 0.097, 0.106, 0.075], "charge": 1, "mol_weight_g_mol": 107.564, "de_lowest_kcal_mol": 131.4, "homo_lumo_gap_ev": [7.1, 8.4], "e_lumo_ev": [-6.735, -5.970]}

=====

Entry 2:
{"formula": "C3H8ClN2O", "method": "wB97M-V/def2-TZVPD", "symbols": ["C", "C", "C", "N", "N", "O", "Cl", "H", "H", "H", "H", "H", "H", "H", "H"], "xyz": [[-0.257, 1.242, 1.733], [-0.214, -0.769, 0.271], [0.975, -1.314, -2.073], [0.441, -0.490, -1.222], [-0.882, 0.391, 0.691], [0.058, 0.708, -1.551], [1.564, -0.797, -3.545], [-0.296, 2.284, 1.639], [-0.653, 1.120, 2.856], [0.902, 1.094, 1.750], [0.576, -1.288, 0.742], [-0.879, -1.586, 0.207], [1.055, -2.267, -1.696], [-1.825, 0.501, 0.968], [-0.565, 1.170, -0.769]], "lowdin_charge": [-0.078, -0.050, -0.479, -0.151, -0.092, -0.006, 0.856, 0.051, 0.139, 0.127, 0.130, 0.128, 0.091, 0.137, 0.198], "charge": 1, "mol_weight_g_mol": 123.563, "de_lowest_kcal_mol": 87.8, "homo_lumo_gap_ev": 10.6, "e_lumo_ev": -4.210, "smiles": "CNC/[N+](O)=C/Cl"}

=====

Entry 3:
{"formula": "C3H8ClN3", "method": "wB97M-V/def2-TZVPD", "symbols": ["C", "C", "C", "N", "N", "N", "Cl", "H", "H", "H", "H", "H", "H", "H", "H"], "xyz": [[1.584, -0.859, 0.097], [0.125, 1.086, 1.095], [-0.247, 0.466, -1.226], [2.865, -0.818, -0.040], [0.789, -1.992, 0.155], [0.697, 0.629, -0.132], [3.693, 0.574, -0.107], [-0.740, 0.518, 1.347], [0.836, 0.979, 2.048], [-0.290, 2.163, 1.135], [-0.731, 1.503, -1.552], [0.430, -0.034, -1.918], [-1.233, -0.115, -1.126], [-0.216, -2.023, 0.362], [1.289, -2.754, 0.582]], "lowdin_charge": [-0.397, -0.183, -0.167, -0.480, 0.119, -0.226, 0.606, 0.037, 0.121, 0.102, 0.118, 0.073, 0.079, 0.107, 0.092], "mol_weight_g_mol": 121.571, "de_lowest_kcal_mol": 57.4, "homo_lumo_gap_ev": 9.5, "e_lumo_ev": 0.757, "smiles": "CN(C)/C(N)=N\\Cl"}

=====

Entry 4:
=====
I agree with the solution that Marcus proposes, and it’s a solution that applies not only to the resurgence of racism in the US but to the broader problems plaguing our society. He writes that “our anti-racism efforts must be refocused away from guilt and confession and towards equality and eradicating irrational judgments based on race…we must return to the goal of treating people as individuals, not as representatives of their race.”
I would only add that this vision could be expanded even farther: we must treat people as individuals, not as representative of their race, gender, political party, or any other kind of identity-tribe.
Would you describe your (and Marcus’s) prescription as a return to dignity culture, or something post-victimhood?
I’d say it’s just a return to dignity culture, but there is a possibility that–given the new technological context–that it might end up becoming something else.
I feel like I have an incomplete formulation of this question, but here goes:
On a case-by-case basis I can treat individuals as such (instead of representatives of whatever group they might associate with). But is there a way to make policy that affects groups of people in a way that individuals from that group (or from the enemy tribe) don’t feel like their identity is threatened?
For example, if I want to address systematized anti-black discrimination in the criminal justice system, how do I do that without getting up the dander of folks who’ve adopted the the notion (regardless of its correctness) that aiming help to blacks somehow takes away from my non-black piece of the pie?
Your argument isn’t well supported. For example you start off by knocking the motto “Make America Great Again,” arguing that this phrase itself is evidence of victimhood culture. How so? You know where that phrase originally game from?
By that same argument, were the men who stormed the beach at Normandy inspired by a victimhood culture? What about the American revolutionaries? How about Martin Luther King, Jr? Is that what the Civil Rights movement was, victimhood culture? An appeal to a grievance or problem, in of itself, has nothing to do with victimhood culture. The thesis of the paper you cite is how these different cultures would respond to a perceived grievance, real or not.
The idea of victimhood culture is about emotional and intellectual immaturity. It’s about safe spaces. It’s about a kind of social fascism through victim status. People are socially shamed and economically starved into compliance. The examples are too numerous to cite.
Victimhood culture is when someone is offended over things they should not be offended by to begin with. Like seeing mannequins hanging from a tree on Halloween and perceiving it as some kind of racist statement rather than just Halloween and starting a virtual facebook MEME. I could give a zillion similar examples specifically related to Trump and how his words are either intentionally misrepresented or it’s an honest case of emotional infants suffering from victimhood culture.
Inherent to victimhood culture is the inability to tolerate exposure to opposing cultures or points of view. Opposing views cannot be allowed to exist. So we attack grandma’s bakery for not wanting to make cakes for certain weddings. Or whatever. The examples are too numerous to begin to cover. Activist groups call employers, and said employers customers, to make sure they know that such and such employee was expressing unapproved opinions on social media. This is the whole point of Media Matters. It’s journalists camping out on the front lawn of regular Joe’s they don’t like, such as Ken Bone, while not saying even a word about the crimes of a certain Haggard Queen running for president.
I know a professor at a university in TX that was attacked because he donated money to prop 8. Man has never said a thing about politics in his classes. But they published personal biographic info about this man all over the internet, harassed university administration to get rid of him, and so on. I know another guy who was sued in CA because he was involved with a GOP super pac that was lobbying for a local issue over there. Not prop8, something totally unrelated to all that. At any rate, he didn’t do anything wrong, but these fascists litigated him to death, drowning him in legal fees just responding to stuff… because it’s against the law to be a Republican in California, or something. I know people who have been fired from jobs because they made political comments that were unapproved. I’ve personally had HR call me in because someone filed an anonymous complaint over a phrase that I used, “ghetto rigging.” This is apparently antisemitic. In the context used it clearly didn’t mean anything like that, and he could have said something to me if offended, but no, sick the police on me.
Victimhood culture is about going out of your way to find offense in something, anything, and then sicking the social justice mob on it. It’s about me, myself, and I. My feelings. Me, me, me. Instead of making an effort to understand people, meet them at their level, others are expected to change themselves and cater to me. They need to use vocabulary that I approve of. Speak the way I want to be spoken to. And so on. This guy said something that offended me, here, I’m going to forward the email to the internet and get it published in the school paper.
How do Trump supporters fit this description in any way? Trump supporters for the most part are in hiding. For them it’s simply a breath of fresh air that they can even be “out” in public and have their views represented. Because they life in constant fear of retribution.
You know who does fit the description of Victimhood Culture to a T? Well, lefties, yeah, that’s tacit. I’m talking about the Smart Set gentleman-scholar soft beta-male “conservatives” that have a meltdown in the presence of rude words. Yes, I’m talking about the Mormons and their infamous Persecution Complex. I’m talking about people who walk into the booth and vote not based on sincere thought for their fellow man, what’s good for the country as a whole, but what will make themselves, personally, “feel” good. There is no greater manifestation of victimhood culture this election cycle than the thing of Evan McMullin.
Andrew: “…he could have said something to me if offended, but no, sick the police on me.”
No, victimhood culture is using a victim status to get the mob on your side in an attempt to use mob-power to enforce the moral high ground. It’s not merely being offended by things one shouldn’t be offended by. It’s using that offense in a power play.
In victim culture, being a victim not only trumps being in the right, it is by definition “being in the right.” No one is entirely clean of that. This is clear when, in the middle of a rant about others playing victims, one can so seamlessly use language to place oneself in a position of victim-power.
Simply the use of a red-pill term like “beta male” indicates where your attitude trends. The red pill movement is a classic example of a group of individuals using perceived victim status to justify victimizing others.
SilverRain, you can try to disqualify him but he’s right.
____________
No. 1
DFT (ωB97M-V/def2-TZVPD) results for the molecule C10H6N2OS2.

As for the HOMO-LUMO gap: 7.956 eV. As for the relative energy (zero: lowest compared OMol25 entry of this formula, charge and spin): 0.6 kcal per mole. As for the structure (SMILES): Cc1ccc2nc3sc(=O)sc3nc2c1. The calculation puts the HOMO energy at -8.85 eV.

Cartesian coordinates (Å):
C -1.1004 -0.2040 3.5893
C -0.8456 0.0035 2.1043
C -1.7360 0.8490 1.3449
C -1.4941 1.2761 -0.0002
C -0.5188 0.6132 -0.6601
N -0.3435 0.8672 -1.9282
C 0.5760 0.1877 -2.5632
S 1.1445 0.5598 -4.2049
C 2.6684 -0.3893 -4.1132
O 3.4768 -0.3749 -5.0381
S 2.7150 -1.4090 -2.7257
C 1.3804 -0.7442 -1.8604
N 1.2252 -1.1105 -0.5371
C 0.2712 -0.3856 0.0568
C 0.1047 -0.6754 1.3684
H -0.9544 -1.1967 3.7405
H -0.3799 0.2717 4.2384
H -2.1789 0.0355 3.9146
H -2.5970 1.2114 1.8511
H -2.1972 1.9320 -0.4870
H 0.7836 -1.3178 1.9096

These are the natural (NBO) partial charges, in e, on atoms 1 to 4: -0.63, 0.02, -0.18, -0.20

No. 2
DFT (ωB97M-V/def2-TZVPD) results for the molecule C10H6N4.

As for the HOMO-LUMO gap (alpha / beta): 7.914 / 7.162 eV. As for the relative energy (zero: lowest compared OMol25 entry of this formula, charge and spin): 33.7 kcal per mole. The calculation puts the HOMO energy (alpha / beta) at -10.21 / -10.00 eV.

Cartesian coordinates (Å):
C 0.0282 2.5334 0.0922
C 2.1229 0.3031 0.6350
C 1.5892 -0.4110 -1.6038
C 0.3758 -2.3274 0.7415
C -0.7491 -0.0774 1.2410
C -1.1572 -0.8817 -0.7074
C -0.5161 1.4985 -0.6494
C -1.4051 0.4820 -0.0362
C 1.2187 -0.2722 -0.2637
C 0.0278 -1.0119 0.2780
N 0.4887 3.3813 0.7210
N 2.8499 0.7726 1.3914
N 1.8464 -0.5010 -2.7210
N 0.6373 -3.3767 1.1066
H -0.1567 0.6095 1.8432
H -1.4436 -0.6283 1.8729
H -1.9398 -1.6047 -0.4913
H -0.9171 -0.8905 -1.7675
H -0.4607 1.5764 -1.7261
H -2.4394 0.8258 0.0438

These are the natural (NBO) partial charges, in e, on atoms 1 to 4: 0.18, 0.22, 0.23, 0.27

No. 3
DFT (ωB97M-V/def2-TZVPD) results for a structure of composition C10H7AuI2N3S2.

As for the HOMO-LUMO gap (alpha / beta): 5.698 / 5.700 eV. The net charge is -1. As for the relative energy (zero: lowest compared OMol25 entry of this formula, charge and spin): 0.0 kcal per mole. The calculation puts the HOMO energy (alpha / beta) at -4.69 / -4.69 eV.

Cartesian coordinates (Å):
Au -0.8271 -0.3434 1.2683
S -1.5141 0.9621 2.9844
C -0.0330 1.0164 3.9221
C -0.1410 1.7915 5.1249
N -0.2573 2.4073 6.0897
C 1.1357 0.4118 3.6038
S 1.3999 -0.5613 2.1856
C 2.2694 0.5559 4.4725
N 3.1979 0.6566 5.1444
N -0.3910 -1.6161 -0.4516
C 0.0056 -0.8806 -1.6315
C -0.8868 -0.6969 -2.6752
C -0.4890 0.0462 -3.7777
C 0.7846 0.5919 -3.8377
C 1.6675 0.4001 -2.7829
C 1.2794 -0.3318 -1.6728
H 0.3538 -2.2416 -0.1584
H -1.2262 -2.1660 -0.6337
H -1.8902 -1.1015 -2.6233
H -1.1897 0.2020 -4.5871
H 1.0867 1.1728 -4.6991
H 2.6588 0.8328 -2.8158
H 1.9457 -0.4542 -0.8262
I -3.2832 -0.1828 0.1642
I -5.6566 -0.4711 -1.7870

These are the natural (NBO) partial charges, in e, on atoms 1 to 4: 0.75, -0.09, -0.31, 0.27

No. 4
____________
“Victimhood culture, then, is fundamentally about manufacturing and maintaining the highest degree of apparent victimhood.”
____________
No. 1
This record from OMol25 describes a molecular structure, C19H23N3O4Pt. The level of theory is ωB97M-V with the def2-TZVPD basis set.

Each line ends with the Mulliken charge.
CARTESIAN COORDINATES (ANGSTROEM)
Pt 7.283 10.570 29.452  0.000
O 6.552 7.811 31.218  -0.824
O 4.358 9.825 30.979  -0.313
O 6.034 14.246 28.255  -0.401
O 3.666 16.227 28.390  -0.822
N 6.487 8.938 25.949  -0.241
N 9.082 12.621 32.527  -0.268
N 11.123 11.375 28.154  -0.297
C 12.199 10.754 28.625  -0.284
C 4.744 16.379 27.500  -0.348
C 10.294 14.043 34.577  -0.127
C 9.726 13.805 32.337  -0.283
C 12.682 12.654 26.750  -0.209
C 5.439 7.761 32.056  -0.463
C 9.650 12.843 34.883  -0.348
C 11.426 12.389 27.226  -0.328
C 13.801 11.961 27.249  -0.270
C 4.179 8.667 31.782  -0.254
C 6.943 9.289 24.688  -0.360
C 6.603 8.644 23.503  -0.260
C 5.677 7.568 23.594  -0.260
C 10.332 14.494 33.317  -0.342
C 13.548 11.047 28.275  -0.393
C 9.050 12.127 33.783  -0.373
C 5.658 7.884 25.934  -0.183
C 6.130 15.612 27.778  -0.276
C 5.228 7.151 24.855  -0.377
H 14.758 12.341 26.925  0.352
H 5.080 6.732 32.058  0.194
H 3.489 8.116 31.143  0.189
H 4.931 17.430 27.281  0.256
H 9.610 14.307 31.387  0.360
H 5.502 6.969 22.712  0.332
H 10.644 13.022 26.833  0.379
H 14.368 10.438 28.624  0.344
H 6.731 15.487 26.877  0.234
H 12.786 13.334 25.917  0.340
H 9.751 12.519 35.908  0.330
H 6.698 16.181 28.513  0.198
H 10.796 14.607 35.349  0.326
H 5.831 7.755 33.073  0.230
H 5.341 7.452 26.871  0.335
H 4.568 6.313 25.021  0.358
H 7.599 10.140 24.584  0.313
H 8.711 11.115 33.949  0.395
H 12.085 10.141 29.507  0.355
H 3.619 8.978 32.664  0.276
H 10.950 15.314 32.980  0.320
H 4.540 15.968 26.512  0.151
H 6.945 8.843 22.498  0.338

Summary:
<S²> = 2.016
E_HOMO (spin up / spin down) = -0.57 / -0.50 eV
E = -35968.553 eV
LUMO level (spin up / spin down) = 0.1457 / 0.1457 hartree
spin multiplicity = 3
total charge = -2

No. 2
This record from OMol25 describes C4H6S2 in the gas phase. The level of theory is ωB97M-V with the def2-TZVPD basis set.

Each line ends with the Mulliken charge.
CARTESIAN COORDINATES (ANGSTROEM)
S 2.646 -0.486 0.105  -0.176
S 1.337 2.177 -0.382  -0.238
C 1.203 0.515 -0.165  0.179
C -0.118 -0.001 -0.139  0.576
C -1.095 0.697 0.598  -1.269
C -0.487 -1.112 -0.794  -0.705
H -2.063 0.256 0.243  0.303
H -1.199 1.795 0.306  0.343
H 0.397 -1.684 -1.311  0.205
H 1.841 -1.463 0.896  0.201
H -1.547 -1.429 -0.955  0.262
H -0.912 0.736 1.598  0.318

Summary:
E_HOMO = -8.72 eV
E = -25913.566 eV
LUMO level = -0.0274 hartree

No. 3
This record from OMol25 describes a gas-phase ion, C4H12NO (charge +1). The level of theory is ωB97M-V with the def2-TZVPD basis set.

Each line ends with the Mulliken charge.
CARTESIAN COORDINATES (ANGSTROEM)
O 0.050 -0.695 1.755  -0.524
N -0.592 0.308 -0.296  -0.313
C 0.529 1.293 0.581  -0.561
C -0.159 0.030 -1.716  -0.185
C 0.641 0.640 1.908  -0.272
C -0.379 -1.456 -2.098  -1.258
H -1.430 -1.724 -1.992  0.404
H 0.996 0.337 -1.692  0.172
H -0.648 0.702 -2.625  0.288
____________
-- Back to the entry --
So victimhood culture is the equivalent of diving in football (or faking injury in soccer, for the American speakers :) )